Entries >
┌──
(1)
NaH3C2O5 | PBE | optimized geometry

Its total energy is -6.20 eV per atom. The total moment is 0.0 μB per formula unit. The density of states at the Fermi level comes out at 0.00 states/eV per atom.

a = 5.7210 Å, b = 6.6872 Å, c = 6.6847 Å
α = 104.05°, β = 85.52°, γ = 108.84°
Element x y z (fractional)
Na 0.7562 0.7563 0.9717
Na 0.2438 0.2437 0.0283
H 0.2301 0.8098 0.7681
H 0.7699 0.1902 0.2319
H 0.2524 0.7840 0.9955
H 0.7476 0.2160 0.0045
H 0.9856 0.7451 0.3936
H 0.0144 0.2549 0.6064
C 0.6366 0.7377 0.4570
C 0.3634 0.2623 0.5430
C 0.3926 0.7207 0.3540
C 0.6074 0.2793 0.6460
O 0.6461 0.7474 0.6423
O 0.3539 0.2526 0.3577
O 0.8207 0.7366 0.3251
O 0.1793 0.2634 0.6749
O 0.3792 0.6657 0.1598
O 0.6208 0.3343 0.8402
O 0.2262 0.7621 0.4791
O 0.7738 0.2379 0.5209
O 0.1816 0.8545 0.9130
O 0.8184 0.1455 0.0870

***

(2)
Na2HC2O4 | PBE | optimized geometry

Its total energy is -5.98 eV per atom. The total moment is 1.0 μB per formula unit. The density of states at the Fermi level comes out at 0.00 states/eV per atom.

a = 3.3891 Å, b = 8.2371 Å, c = 8.2641 Å
α = 90.00°, β = 90.00°, γ = 90.00°
Last column: magnetic moment on the atom in μB.
Element x y z (fractional)
Na 0.6076 0.2900 0.2582  0.00
Na 0.6076 0.7100 0.7418  0.00
Na 0.3924 0.2100 0.7582  0.00
Na 0.3924 0.7900 0.2418  0.00
H 0.2651 0.0000 0.5000  0.38
H 0.7349 0.5000 0.0000  0.38
C 0.0121 0.0607 0.0708  0.00
C 0.0121 0.9393 0.9292  0.00
C 0.9879 0.4393 0.5708  0.00
C 0.9879 0.5607 0.4292  0.00
O 0.1515 0.7985 0.9556  0.01
O 0.1515 0.2015 0.0444  0.01
O 0.8485 0.7015 0.4556  0.01
O 0.8485 0.2985 0.5444  0.01
O 0.8688 0.0111 0.2045  0.01
O 0.8688 0.9889 0.7955  0.01
O 0.1312 0.4889 0.7045  0.01
O 0.1312 0.5111 0.2955  0.01

***

(3)
Rb2NaH5C2O8 | PBE | optimized geometry

Its total energy is -5.79 eV per atom. The total moment is 0.0 μB per formula unit. The density of states at the Fermi level comes out at 0.00 states/eV per atom.

a = 8.2096 Å, b = 9.5845 Å, c = 12.1415 Å
α = 90.00°, β = 90.00°, γ = 90.00°
Element x y z (fractional)
Rb 0.5113 0.2252 0.1066
Rb 0.0113 0.7748 0.8934
Rb 0.9887 0.7252 0.3934
Rb 0.4887 0.2748 0.6066
Rb 0.4887 0.7748 0.8934
Rb 0.9887 0.2252 0.1066
Rb 0.0113 0.2748 0.6066
Rb 0.5113 0.7252 0.3934
Na 0.2500 0.0645 0.3160
Na 0.7500 0.9355 0.6840
Na 0.2500 0.5645 0.1840
Na 0.7500 0.4355 0.8160
H 0.2500 0.5029 0.4698
H 0.7500 0.4971 0.5302
H 0.2500 0.0029 0.0302
H 0.7500 0.9971 0.9698
H 0.1115 0.3732 0.8642
H 0.6115 0.6268 0.1358
H 0.3885 0.8732 0.6358
H 0.8885 0.1268 0.3642
H 0.8885 0.6268 0.1358
H 0.3885 0.3732 0.8642
H 0.6115 0.1268 0.3642
H 0.1115 0.8732 0.6358
H 0.1175 0.5091 0.7918
H 0.6175 0.4909 0.2082
H 0.3825 0.0091 0.7082
H 0.8825 0.9909 0.2918
H 0.8825 0.4909 0.2082
H 0.3825 0.5091 0.7918
H 0.6175 0.9909 0.2918
H 0.1175 0.0091 0.7082
C 0.2500 0.3525 0.3534
C 0.7500 0.6475 0.6466
C 0.2500 0.8525 0.1466
C 0.7500 0.1475 0.8534
C 0.2500 0.6335 0.6333
C 0.7500 0.3665 0.3667
C 0.2500 0.1335 0.8667
C 0.7500 0.8665 0.1333
O 0.2500 0.2624 0.4303
O 0.7500 0.7376 0.5697
O 0.2500 0.7624 0.0697
O 0.7500 0.2376 0.9303
O 0.2500 0.3249 0.2504
O 0.7500 0.6751 0.7496
O 0.2500 0.8249 0.2496
O 0.7500 0.1751 0.7504
O 0.2500 0.4908 0.3806
O 0.7500 0.5092 0.6194
O 0.2500 0.9908 0.1194
O 0.7500 0.0092 0.8806
O 0.2500 0.5119 0.5846
O 0.7500 0.4881 0.4154
O 0.2500 0.0119 0.9154
O 0.7500 0.9881 0.0846
O 0.2500 0.7477 0.5754
O 0.7500 0.2523 0.4246
O 0.2500 0.2477 0.9246
O 0.7500 0.7523 0.0754
O 0.2500 0.6373 0.7405
O 0.7500 0.3627 0.2595
O 0.2500 0.1373 0.7595
O 0.7500 0.8627 0.2405
O 0.0401 0.4450 0.8300
O 0.5401 0.5550 0.1700
O 0.4599 0.9450 0.6700
O 0.9599 0.0550 0.3300
O 0.9599 0.5550 0.1700
O 0.4599 0.4450 0.8300
O 0.5401 0.0550 0.3300
O 0.0401 0.9450 0.6700

***

(4)
Na5ScH4C4O14 | PBE | optimized geometry

Its total energy is -6.47 eV per atom. The total moment is 0.0 μB per formula unit. The density of states at the Fermi level comes out at 0.00 states/eV per atom.

a = 7.5713 Å, b = 7.5713 Å, c = 11.6200 Å
α = 90.00°, β = 90.00°, γ = 90.00°
└──

Activity >
Say how many lines of the contents further up hold the word "Na", as a bare number, please.

Written answer >
10